
Sunday, January 22, 2012

## Next to the page, the page also holds records of crystals
<<<
Record 1
Computed, not measured: Be2TeH2 after structural relaxation at the GGA-PBE level of DFT.

abc: 3.326 3.326 5.895
angles: 73.61 73.61 90.00
Atoms (fractional coordinates):
Be  0.218  0.218  0.564
Be  0.782  0.782  0.436
H  0.750  0.250  0.500
H  0.250  0.750  0.500
Te  0.000  0.000  0.000

Computed properties:
Energy above the lowest structure with this stoichiometry   0 meV/atom
Calculated volume   59.8 Å³/cell

***

Record 2
Computed, not measured: La2Al6TcPd after structural relaxation at the GGA-PBE level of DFT.

abc: 6.756 6.759 6.764
angles: 59.98 59.99 90.01
Atoms (fractional coordinates):
La  0.250  0.750  0.500
La  0.750  0.250  0.500
Al  0.249  0.751  0.000
Al  0.751  0.751  0.498
Al  0.249  0.249  0.000
Al  0.751  0.751  0.000
Al  0.249  0.249  0.502
Al  0.751  0.249  0.000
Tc  0.000  0.000  0.000
Pd  0.500  0.500  0.000

Computed properties:
E_form   -0.37 eV/atom
Calculated volume   218.3 Å³/cell

***

Respective total moment values: 0.00 0.01 μB per cell.

* * * * *

Ca2CdHPd: relaxed, PBE-GGA.

Unit cell a=4.853 b=4.853 c=4.208 alpha=90.00 beta=90.00 gamma=90.00
Atoms (fractional coordinates):
Ca: 0.000 0.500 0.000
Ca: 0.500 0.000 0.000
Cd: 0.000 0.000 0.500
H: 0.000 0.000 0.000
Pd: 0.500 0.500 0.500

E   -3.0720 eV per atom
Crystal system   tetragonal
Symmetry   P4/mmm (123)
Volume   99 Å³ per cell
Distance to the lowest polymorph of the same formula   97 meV/atom

=====

Cs2LaZnW: relaxed, PBE-GGA.

Unit cell a=6.422 b=6.422 c=6.062 alpha=90.00 beta=90.00 gamma=90.00
Atoms (fractional coordinates):
Cs: 0.000 0.500 0.000
Cs: 0.500 0.000 0.000
La: 0.000 0.000 0.500
Zn: 0.000 0.000 0.000
W: 0.500 0.500 0.500

E   -2.5273 eV per atom
Crystal system   tetragonal
Symmetry   P4/mmm (123)
Volume   250 Å³ per cell
Calculated formation energy   1645 meV/atom

=====

Be2OF: relaxed, PBE-GGA.

Unit cell a=4.964 b=4.964 c=4.964 alpha=130.45 beta=130.45 gamma=72.69
Atoms (fractional coordinates):
Be: 0.071 0.625 0.946
Be: 0.375 0.321 0.446
Be: 0.679 0.125 0.054
Be: 0.875 0.929 0.554
O: 0.000 0.000 0.000
O: 0.750 0.250 0.500
F: 0.250 0.750 0.500
F: 0.500 0.500 0.000

E   -5.3258 eV per atom
Crystal system   tetragonal
Symmetry   I-42d (122)
Volume   69 Å³ per cell
Formation energy (no corrections)   -1.755 eV per atom
Distance to the lowest polymorph of the same formula   0 meV/atom

* * * * *

Entry 1:
GdGaPt2 after structural relaxation. Source: Alexandria, functional PBE.

Cell lengths 4.505, 4.505, 3.710 Å; angles 90.00, 90.00, 90.00 degrees
Positions (direct):
Gd  0.000  0.000  0.000
Ga  0.500  0.500  0.000
Pt  0.000  0.500  0.500
Pt  0.500  0.000  0.500

The calculated volume comes out at 75.32 Å³/f.u. For the formation enthalpy at 0 K, the calculation gives -796 meV/atom. The space-group type is No. 123.

Entry 2:
GdGaPt2 after structural relaxation. Source: Alexandria, functional PBE.

Cell lengths 3.388, 3.388, 6.510 Å; angles 90.00, 90.00, 90.00 degrees
Positions (direct):
Gd  0.000  0.000  0.000
Ga  0.000  0.000  0.500
>>>
## Here the page continues

Sth America's oldest predator fossil found

Palaeontologists say they have found the fossil of a carnivorous predator that lived more than 260 million years ago and is the oldest unearthed in South America.
"This predator lived nearly 40 million years before the dinosaur and is a precursor to mammifers," said Juan Carlos Cisneros, of the Federal University of Piaui.
The fossil, a complete 35-centimetre skull found in 2008 in the southern Brazilian state of Rio Grande do Sul, was restored and analysed by South African and Turkish experts who validated the discovery and published it inProceedings of the National Academy of Sciences.
"We are talking about the oldest fossil ever found in South America of a species of the last period of the Palaeozoic era - before the separation of the continents, with characteristics of species only known in South Africa and Russia," says Cisneros.
The remains found are those of a species of dinocephalus, a remote relative of mammifers.
The discovery made it possible to reconstruct the body of the predator believed to have been three meters long and to have weighed 300 kilograms.
It had four big hook-shaped canine teeth (two upper and two lowers) to catch its prey as well as other saw-shaped teeth, says Cisneros.
The species may have walked from South Africa to South America but the long distance to Russia, where similar species have also been found, raises questions as to the shape of the single continent which then made up the world to allow the movement these animals, he added.
The dinocephalus became extinct 250 million years ago along with 90 per cent of species on the planet as a result of volcanic explosions.

(The fossilized skull was found in 2008 on a farm in the Pampas Region of Rio Grande do Sul) 

Devastating blood fluke's code cracked

Scientists have unravelled the genetic code of the blood parasite that causes an insidious tropical disease linked to bladder cancer and HIV/AIDS in Africa.
The international team, led by Dr Neil Young from theUniversity of Melbourne, sequenced the genome ofSchistomosma haematobium.
Their work, which is published this week in Nature Genetics, also identifies possible targets for the development of drugs and vaccines for schistosomiasis, also known as bilharzia or swimmer's itch.
Schistosomiasis is spread to humans from small larvae shed from freshwater snails. The larvae burrows into the skin and travels through body to eventually develop as adult worms in blood vessels surrounding either the intestines or the bladder and genital tract, where they breed and cause chronic infection.
Of the three main species of parasite that cause schistosomiasis, Schistomosma haemotobium causes the most devastating form, says Young.
Affecting around 112 million people in Africa,Schistomosma haematobium causes chronic urogenital tract disease and is linked to bladder cancer and susceptibility to HIV/AIDS.
The two other major species — S. mansoni which is found in South America and Africa, and S. japonicum, which is found in China, cause intestinal and liver disease.
"While the intestinal form of the disease, which is caused by S. japonica and S. mansoni is important, S. haematobium causes more than half the infections in Africa," says Young.
There is currently no vaccine and only one drug available to treat S. haematobuim infections.
Young says most of the research into the disease is based around S. mansoni which was mapped three years ago along with S. japonica.
"Having genomic maps for all three species is essential," he says.
"When you're searching for drugs and vaccine targets you have to know that they are going to treat the majority of infections," he says.
But until now, research into this species has been "put in the too hard basket" because the species' host snails don't take well to laboratory life.
Using single cell sequencing, the team extracted the nuclear genome from a single pair of worms by amplifying DNA taken out of a single cell.
"That's a tremendous breakthrough because it means we don't have to grow the animals in the lab," says Young.
Proving the technique works makes genetic sequencing more effective and opens the way for studying other types of neglected parasitic diseases, says Young.

(Swimmer's Itch: Schistosomiasis or bilharzia is transmitted to humans via contact with contaminated water) 

Target proteins

Their analysis of the genome reveals that S. haemotobium has a similar number of genes and genetic structure to the other two species, but is most closely related to S. mansoni.
Young says the research will help scientists identify common proteins that can be knocked out or targeted with new or even existing drugs.
"For the first time we can start to look at the similarities from a drug and vaccine perspective and it will be interesting to see what biological differences there are between these species," he says.
By comparing the genome to the other two species and model species such as roundworms (C. elegans), fruit flies and mice the researchers identified six molecules as possible prime targets for drugs that may be effective against all species of the fluke.
He says the group's research will also allow scientists to hone in on other species of flatworms — a distinct evolutionary group closely related to molluscs — which cause human and animal diseases.
Their analysis identifies thousands of common proteins found in other types of flatworms such as liver flukes that infect cattle.
The genome sequence is publicly available in a database that also contains the blueprints of the other two species.
"We wanted to make it a comparative resource, rather than have one genome in one place and another genome in another," says Young.

Mineral quashes deadly bacterial poisons

A simple mineral supplement — manganese — holds promise as the first successful treatment for hemorrhage-inducing infections caused by some food- and waterborne germs. The mineral helps detoxify Shiga toxin, which is produced by a host of bacteria, including the type of E. coli that killed scores and sickened more than 3,700 people in Europe last year.
The new work, by researchers at Carnegie Mellon University in Pittsburgh, appears in the Jan. 20 Science.
Although the data are preliminary, “it’s an exciting finding,” says microbiologist Vernon Tesh of the Texas A&M Health Science Center in Bryan, who did not participate in the new study. Manganese might soon offer a low-cost treatment that physicians could administer “to every patient that comes into the clinic with a bloody stool,” he says.
“That would be a tremendous boon,” he adds, because although antibiotics can wipe out germs responsible for these infections, such drugs are strongly discouraged. Killing the bugs only expedites their release of Shiga toxin, increasing a patient’s risk of kidney failure, stroke and death.
The new finding “is a classic example of serendipity in science,” says coauthor Adam Linstedt, a cell biologist at Carnegie Mellon. His team has been exploring the somewhat mysterious cellular role of a protein called GPP130. Then a colleague at the University of California, Santa Cruz reported the puzzling observation that giving cells manganese made their GPP130 disappear.
Normally, foreign materials entering a cell get tasted by an internal compartment called an endosome. Endosomes then shunt undesirable substances to another compartment, a lysosome, where they will be broken down and their raw materials discarded or recycled.
That should spell the end of Shiga toxin — except it never reaches the lysosomes. Somewhere along the way, the poison hijacks protein-trafficking systems and forces a detour elsewhere in the cell. There the hijacker knocks out the cell’s life-sustaining machinery.
Linstedt and Somshuvra Mukhopadhyay, also of Carnegie Mellon, now show that it’s GPP130 that Shiga toxin hijacks. And manganese can defend GPP130 from that attack, allowing cells to shuttle the toxin directly to lysosomes, where it’s broken down into harmless components. In cells grown in a test tube and in mice, manganese pretreatment prevented death from the administration of pure Shiga toxin.
How clinically helpful that might be remains unclear. The toxin destroys the body’s smallest blood vessels, notes epidemiologist Dirk Werber of the Robert Koch Institute in Berlin. Vascular injury, which is the most dramatic consequence of infection with Shiga toxin-producing E. coli, “is likely to be well under way by the time infected patients seek medical attention for diarrhea,” he says.
That’s true, Tesh acknowledges, although up to seven days can pass between the onset of bloody diarrhea and catastrophic vascular effects, as the toxin breaks out of the gut and begins circulating. So there would probably be a brief window when manganese treatment could save lives, he says.
The Carnegie Mellon researchers are now homing in on the minimum amount of manganese needed to protect animals, and hope to soon begin testing using Shiga-toxin-producing E. coli.

[The text is interrupted by crystal structures]
-- begin --
A relaxed structure of La2MgCu2. Source: Alexandria, functional PBE-GGA.

Lattice parameters (Å, degrees): 5.6772 5.6772 5.7062 60.17 60.17 90.00
With the nearest neighbours (Å) after each atom.
Element x y z (fractional)
Mg 0.0000 0.0000 0.0000  2 Cu 2.90
La 0.2500 0.7500 0.5000  4 Cu 2.97
La 0.7500 0.2500 0.5000  4 Cu 2.97
Cu 0.3574 0.3574 0.2851  1 Cu 2.31
Cu 0.6426 0.6426 0.7149  1 Cu 2.31

Space-group type = I4/mmm (139)
Formation energy = -0.033 eV per atom
E above lowest polymorph = 166 meV per atom
Magnetization = 0.00 μB per atom


Here is crystalline PmSm4Dy at its relaxed geometry from the Alexandria database. Energies are from PBE.

Calculated values
**Energy of formation from the pure elements**: 262 meV per atom
**Volume**: 34.80 Å³ per atom
**Raw total energy**: -4.443 eV per atom
**Energy above the most stable polymorph in this dataset**: 247 meV per atom

a b c (Å): 9.417 9.417 9.417
angles (deg): 90.00 90.00 90.00
Space group F-43m (No. 216)
Asymmetric unit:
Pm 0.000 0.000 0.000 (multiplicity 4)
Sm 0.125 0.125 0.625 (multiplicity 16)
Dy 0.250 0.250 0.250 (multiplicity 4)
-- stop --
[End of the crystal structures]

Seaweed study fuels bioenergy enthusiasm

Seaweed has long made biofuel prospectors drool, but they hadn’t figured out how to efficiently chew through the stuff — until now. Researchers have engineered a bacterium that can break down and digest seaweed’s gummy cell walls to yield ethanol and other useful compounds. If scientists can make the process work at larger scales, seaweed could soon be a serious contender as a source of renewable fuel.
The new research “makes a pretty large leap forward,” says metabolic engineer Hal Alper of the University of Texas at Austin. Unlike corn and many other biofuel feedstocks, seaweed doesn’t need arable land, fertilizer or freshwater. If seaweed can be efficiently munched into ethanol, it broadens the biofuel horizon, says Alper, who was not involved in the research. Seaweed, he says, may be “that new source for unconventional carbon that everyone’s been looking for.”
Scientists from Bio Architecture Lab, a biofuel and renewable chemicals company headquartered in Berkeley, Calif., were interested in creating a biofuel bacterium that is a one-stop shop: They wanted a microbe that could efficiently digest the seaweed cellular building block alginate without pretreatment with chemicals or heat. Alginate is commonly used in ice creams and some textiles, but has proved difficult to break down and metabolize into fuel.
So, led by synthetic biologist Yasuo Yoshikuni, the team took the workhorse bacterium E. coli and within it, patched together the genes and other parts needed for superior seaweed-to-fuel conversion. From the marine bacterium Pseudoalteromonas, the scientists used genes for an enzyme that cuts alginate into smaller molecular bits. The researchers rigged these genes to a cellular transport system already found in E. coli, so the bacterium would secrete the alginate-slicing enzyme into its environment.
Then the team scoured scientific literature and databases for a microbe with serious alginate-digesting machinery. They hit upon the marine microbe Vibrio splendidus, and took a hefty chunk of theVibrio DNA for use in the E. coli. When the team fed alginate to their engineered E. coli, the microbes pumped out ethanol, the researchers report in the Jan. 20 Science. The system yields 80 percent of the theoretical maximum amount of ethanol for a given amount of biomass, the scientists noted, and with further tweaking will probably be even more efficient.
Part of the beauty of the system is its flexibility, says Yoshikuni. Because the alginate-degrading enzyme is released into the environment, initial breakdown products can easily be harvested for creating useful compounds such as precursors to nylon or plastics. And when E. coli consume the broken-down alginate the bacteria generate a lot of pyruvate, a chemical intermediate useful for making fuels such as butanol or biodiesel. 
Seaweed is already harvested at commercial scale in several countries for other uses, and Bio Architecture Lab is working on a pilot plant in Chile to convert seaweed into fuel, says company CEO Daniel Trunfio. Also, any seaweed will do, he notes. “We like to say we’re seaweed agnostic — we can process any brown algae.”



Scientists have engineered a bacterium that breaks down seaweed, such as this Macrocystis species, to yield fuels such as ethanol.